**Exercise**
Next, repeat only the lines further below with the word "Cr" in them.

**File**
+++
First-principles (PBE) data for an optimized crystal structure of B5C7, as listed in Alexandria.

Distance to the lowest polymorph of the same formula (eV per formula unit): 1.37
Total magnetic moment (μB/cell): 0.0
Energy (eV/atom): -7.79
Formation energy (kJ/mol of atoms): 36

Lattice parameters (Å, degrees): 6.472 6.472 5.037 102.03 102.03 22.61
Atoms (fractional coordinates):
B  0.017  0.017  0.975
B  0.896  0.896  0.206
B  0.994  0.994  0.508
B  0.599  0.599  0.545
B  0.328  0.328  0.671
C  0.320  0.320  0.158
C  0.245  0.245  0.365
C  0.913  0.913  0.729
C  0.674  0.674  0.326
C  0.243  0.243  0.880
C  0.674  0.674  0.843
C  0.596  0.596  0.044

***

First-principles (PBE) data for an optimized crystal structure of TeSeN3, as listed in Alexandria.

Total magnetic moment (μB/cell): 0.0
Energy (eV/atom): -4.46
Formation energy without anion corrections (kJ/mol of formula units): 898

Lattice parameters (Å, degrees): 3.865 3.865 3.865 90.00 90.00 90.00
Atoms (fractional coordinates):
Te  0.500  0.500  0.500
Se  0.000  0.000  0.000
N  0.000  0.500  0.000
N  0.000  0.000  0.500
N  0.500  0.000  0.000

***

First-principles (PBE) data for an optimized crystal structure of VFeP, as listed in Alexandria.

Total magnetic moment (μB/cell): 0.0
Energy (eV/atom): -8.22
Formation energy (kJ/mol of atoms): -53

Lattice parameters (Å, degrees): 2.699 3.838 3.838 120.00 90.00 90.00
Atoms (fractional coordinates):
P  0.167  0.000  0.000
Fe  0.167  0.333  0.667
V  0.667  0.667  0.333

***

First-principles (PBE) data for an optimized crystal structure of Rb3TcS4, as listed in Alexandria.

Total magnetic moment (μB/cell): 4.0
Energy (eV/atom): -4.56
Formation energy without anion corrections (kJ/mol of formula units): -647

Lattice parameters (Å, degrees): 6.499 6.615 12.829 90.00 90.00 90.00
Atoms (fractional coordinates):
S  0.038  0.819  0.000
S  0.634  0.172  0.000
S  0.086  0.281  0.151
S  0.586  0.719  0.349
S  0.134  0.828  0.500
S  0.538  0.181  0.500
S  0.586  0.719  0.651
S  0.086  0.281  0.849
Tc  0.975  0.150  0.000
Tc  0.475  0.850  0.500
Rb  0.538  0.673  0.000
Rb  0.079  0.772  0.250
Rb  0.579  0.228  0.250
Rb  0.038  0.327  0.500
Rb  0.579  0.228  0.750
Rb  0.079  0.772  0.750

***

- The lowest energy belongs to which entry?
  VFeP


## MgTlCr2 (GGA-PBE)

Data for an optimized crystal structure of MgTlCr2.

CIF file:
```
data_MgTlCr2
_symmetry_space_group_name_H-M 'P 1'
_symmetry_Int_Tables_number 1
_cell_length_a 2.965
_cell_length_b 4.743
_cell_length_c 5.153
_cell_angle_alpha 90.00
_cell_angle_beta 92.05
_cell_angle_gamma 90.00
loop_
_symmetry_equiv_pos_as_xyz
'x,y,z'
loop_
_atom_site_label
_atom_site_type_symbol
_atom_site_fract_x
_atom_site_fract_y
_atom_site_fract_z
_atom_site_occupancy
Mg1 Mg 0.000 0.000 0.000 1
Tl1 Tl 0.500 0.000 0.500 1
Cr1 Cr 0.332 0.500 0.833 1
Cr2 Cr 0.668 0.500 0.167 1
```

Properties
M_tot	0.01	μB/f.u.
energy of formation from the pure elements	2.69	eV/f.u.
electronic total energy	-5.13	eV/atom



## Pm5Sm2YEr (GGA-PBE)

Data for an optimized crystal structure of Pm5Sm2YEr.

CIF file:
```
data_Pm5Sm2YEr
_symmetry_space_group_name_H-M 'P 1'
_symmetry_Int_Tables_number 1
_cell_length_a 10.221
_cell_length_b 10.221
_cell_length_c 10.221
_cell_angle_alpha 129.88
_cell_angle_beta 129.88
_cell_angle_gamma 73.59
loop_
_symmetry_equiv_pos_as_xyz
'x,y,z'
loop_
_atom_site_label
_atom_site_type_symbol
_atom_site_fract_x
_atom_site_fract_y
_atom_site_fract_z
_atom_site_occupancy
Pm1 Pm 0.000 0.000 0.000 1
Pm2 Pm 0.072 0.572 0.927 1
Pm3 Pm 0.145 0.072 0.500 1
Pm4 Pm 0.355 0.855 0.927 1
Pm5 Pm 0.428 0.355 0.500 1
Pm6 Pm 0.500 0.500 0.000 1
Pm7 Pm 0.572 0.645 0.500 1
Pm8 Pm 0.645 0.145 0.073 1
Pm9 Pm 0.855 0.928 0.500 1
Pm10 Pm 0.928 0.428 0.073 1
Sm1 Sm 0.120 0.380 0.500 1
Sm2 Sm 0.380 0.880 0.260 1
Sm3 Sm 0.620 0.120 0.740 1
Sm4 Sm 0.880 0.620 0.500 1
Y1 Y 0.250 0.250 0.000 1
Y2 Y 0.750 0.750 0.000 1
Er1 Er 0.250 0.750 0.500 1
Er2 Er 0.750 0.250 0.500 1
```

Properties
M_tot	0.00	μB/f.u.
+++

**Reply**
Cr1 Cr 0.332 0.500 0.833 1
Cr2 Cr 0.668 0.500 0.167 1